**Source:**
/*
! TmHI3 | Alexandria via LeMat-Bulk | PBE-GGA | optimized geometry; values from VASP
&SYSTEM
  ibrav = 0, nat = 20, ntyp = 3
/
ATOMIC_SPECIES
Tm 168.93 Tm.upf
H 1.01 H.upf
I 126.90 I.upf
ATOMIC_POSITIONS angstrom
Tm -0.2536 1.9844 1.1880
Tm -1.7447 5.9367 8.0902
Tm 6.9739 1.9844 4.8569
Tm 5.4828 5.9367 11.7592
H 7.2372 6.1525 2.2951
H -0.5170 6.1525 3.7499
H 5.7462 1.7686 9.1973
H -2.0080 1.7686 10.6521
I 4.8271 0.3994 6.1508
I 3.3360 7.5217 13.0530
I -0.3261 5.9316 10.7671
I 1.6889 4.3618 0.8727
I 1.1649 1.9894 3.8648
I 0.4022 7.5217 6.7964
I 5.0314 4.3618 5.1722
I 4.0643 5.9316 9.0823
I 3.5403 3.5593 12.0745
I 5.5554 1.9894 2.1801
I 1.8932 0.3994 -0.1058
I 0.1978 3.5593 7.7749
CELL_PARAMETERS angstrom
8.2113 0.0000 -0.8573
0.0000 7.9211 0.0000
-2.9821 0.0000 13.8044
! Space-group type   No. 13
! D(E_F)   0.000 states/eV/atom
! DFT total energy   -3.555 eV/atom
! Theoretical density   4.168 Mg/m³

! PmPRhO | Alexandria via LeMat-Bulk | PBE-GGA | optimized geometry; values from VASP
&SYSTEM
  ibrav = 0, nat = 8, ntyp = 4
/
ATOMIC_SPECIES
Pm 145.00 Pm.upf
P 30.97 P.upf
Rh 102.91 Rh.upf
O 16.00 O.upf
ATOMIC_POSITIONS angstrom
Pm 2.0103 0.0000 5.2933
Pm 0.0000 2.0103 2.9663
P 0.0000 2.0103 7.0069
P 2.0103 0.0000 1.2527
Rh 2.0103 2.0103 0.0000
Rh 0.0000 0.0000 0.0000
O 0.0000 0.0000 4.1298
O 2.0103 2.0103 4.1298
CELL_PARAMETERS angstrom
4.0207 0.0000 0.0000
0.0000 4.0207 0.0000
0.0000 0.0000 8.2596
! Space-group type   No. 129
! Uncorrected formation energy   -2018 meV per atom
! D(E_F)   0.678 states/eV/atom
! Theoretical density   7.334 Mg/m³

! LiTcAs4 | Alexandria via LeMat-Bulk | PBE-GGA | optimized geometry; values from VASP
&SYSTEM
  ibrav = 0, nat = 6, ntyp = 3
/
ATOMIC_SPECIES
Li 6.94 Li.upf
Tc 98.00 Tc.upf
As 74.92 As.upf
ATOMIC_POSITIONS angstrom
Li 5.8009 5.8009 5.8009
Tc 0.0000 0.0000 0.0000
As 4.8303 2.9042 4.8303
As 2.9042 4.8303 4.8303
As 4.8303 4.8303 2.9042
As 2.9042 2.9042 2.9042
CELL_PARAMETERS angstrom
0.0000 3.8672 3.8672
3.8672 0.0000 3.8672
3.8672 3.8672 0.0000
! Space-group type   No. 216
! Formation energy   0.558 eV/atom
! D(E_F)   0.525 states/eV/atom
! Theoretical density   5.809 Mg/m³

! DyBeRh2 | Alexandria via LeMat-Bulk | PBE-GGA | optimized geometry; values from VASP
&SYSTEM
  ibrav = 0, nat = 4, ntyp = 3
/
ATOMIC_SPECIES
Be 9.01 Be.upf
Rh 102.91 Rh.upf
Dy 162.50 Dy.upf
ATOMIC_POSITIONS angstrom
Be 1.5710 1.5710 0.0000
Rh 0.0000 0.0000 4.9499
Rh 0.0000 0.0000 1.3081
Dy 1.5710 1.5710 3.1290
CELL_PARAMETERS angstrom
3.1420 0.0000 0.0000
0.0000 3.1420 0.0000
0.0000 0.0000 6.2580
! Space-group type   No. 123
! Formation energy   -0.548 eV/atom
! D(E_F)   0.349 states/eV/atom
! Theoretical density   10.142 Mg/m³

! NbBP2Ru | Alexandria via LeMat-Bulk | PBE-GGA | optimized geometry; values from VASP
&SYSTEM
  ibrav = 0, nat = 5, ntyp = 4
/
ATOMIC_SPECIES
Ru 101.07 Ru.upf
Nb 92.91 Nb.upf
B 10.81 B.upf
P 30.97 P.upf
ATOMIC_POSITIONS angstrom
Ru -0.8688 -0.1966 -3.8711
Nb 0.0000 0.0000 0.0000
B 1.2794 -0.9444 -1.3954
P -1.8733 -1.0831 -0.9845
P -0.2749 1.8309 -1.4912
CELL_PARAMETERS angstrom
-0.5498 3.6619 -2.9824
2.5588 -1.8889 -2.7909
-3.7466 -2.1661 -1.9690
! Space-group type   No. 123
! Formation energy   1.303 eV/atom
! D(E_F)   1.263 states/eV/atom
! Theoretical density   4.630 Mg/m³

! ZrAg2Hg | Alexandria via LeMat-Bulk | PBE-GGA | optimized geometry; values from VASP
&SYSTEM
  ibrav = 0, nat = 4, ntyp = 3
/
ATOMIC_SPECIES
Zr 91.22 Zr.upf
Hg 200.59 Hg.upf
Ag 107.87 Ag.upf
ATOMIC_POSITIONS angstrom
Zr 1.5534 1.5534 6.2409
Hg 0.0000 0.0000 4.0635
Ag 0.0000 0.0000 0.0755
Ag 1.5534 1.5534 1.9977
CELL_PARAMETERS angstrom
3.1067 0.0000 0.0000
0.0000 3.1067 0.0000
0.0000 0.0000 8.2518
! Space-group type   No. 99
! Formation energy   -0.017 eV/atom
! D(E_F)   0.605 states/eV/atom
! Theoretical density   10.582 Mg/m³

! LiCo3Pb | Alexandria via LeMat-Bulk | PBE-GGA | optimized geometry; values from VASP
&SYSTEM
  ibrav = 0, nat = 5, ntyp = 3
/
ATOMIC_SPECIES
Pb 207.20 Pb.upf
Co 58.93 Co.upf
Li 6.94 Li.upf
*/

**To do:**
Your job: echo every line further up that contains the word "Ag".

**Here it is:**
Ag 107.87 Ag.upf
Ag 0.0000 0.0000 0.0755
Ag 1.5534 1.5534 1.9977